_Entries_
The following is a quantum chemistry calculation of 5 unconnected molecules or ions with the total composition C3H14NO4, from OMol25.

HOMO energy (eV): -13.5
Electronic energy (hartree): -478.07112
LUMO energy (hartree): -0.17959
Charge: +1
HOMO-LUMO gap (eV): 8.61
Energy above the lowest of the compared OMol25 structures with the same formula, charge and spin (eV): 3.651

```
22
C3H14NO4, DFT wB97M-V/def2-TZVPD
C 2.50727 0.72728 -1.92886
C 2.95816 1.98712 -1.65614
C 0.33023 0.74933 -0.70633
N 1.29482 0.06789 -1.28814
H 3.16912 -0.13357 -2.39581
H 2.53554 2.81791 -1.13349
H 3.92338 2.24494 -2.18846
H -0.38442 0.11951 -0.17581
H 0.14286 1.86607 -0.85171
H 1.38297 -0.96563 -1.29679
H -2.13965 -3.72898 1.65398
H -1.41706 -4.01669 0.18281
O -1.49444 -3.40179 0.98310
H -2.20101 1.90675 -4.32875
H -3.56317 1.81059 -3.54103
O -2.63901 1.71410 -3.52432
H -2.64128 1.36853 6.29222
H -1.93696 0.14973 6.58330
O -1.98761 0.92573 5.89835
H -0.04168 -2.26263 1.27680
H 1.39879 -2.04318 1.41494
O 0.80313 -1.90303 0.73014
```

The following is a quantum chemistry calculation of 8 unconnected molecules or ions with the total composition C24H48O24, from OMol25.

HOMO energy (eV): -10.4
Electronic energy (hartree): -2748.92541
LUMO energy (hartree): 0.01164
Charge: 0
HOMO-LUMO gap (eV): 10.69
Energy above the lowest of the compared OMol25 structures with the same formula, charge and spin (eV): 4.677
SMILES string: COC(=O)OC.COC(=O)OC.COC(=O)OC.COC(=O)OC.COC(=O)OC.COC(=O)OC.COC(=O)OC.COC(=O)OC

```
96
C24H48O24, DFT wB97M-V/def2-TZVPD
C 2.66349 -3.25992 0.03777
O 3.41832 -2.41837 0.98789
C 4.83123 -2.41140 0.85578
O 5.45665 -3.05302 -0.02157
O 5.31846 -1.56144 1.63387
C 6.73927 -1.31645 1.79657
H 2.41034 -4.18795 0.55039
H 3.25517 -3.51125 -0.84248
H 1.66817 -2.90611 -0.23102
H 7.13975 -0.92036 0.86338
H 7.31119 -2.20434 2.06612
H 6.87227 -0.57748 2.58672
C 3.33543 3.30752 -0.50125
O 3.37364 2.82665 -1.90089
C 2.35459 3.11195 -2.77142
O 2.13032 2.46703 -3.77521
O 1.72734 4.24172 -2.30258
C 0.57510 4.80245 -2.98312
H 4.24164 3.13185 0.07842
H 2.58728 2.71493 0.02524
H 3.03607 4.35006 -0.39351
H 0.79386 5.70596 -3.55225
H -0.13258 4.97186 -2.17157
H 0.23433 4.02936 -3.67182
C 0.30424 1.23194 2.55664
O 0.14441 1.45688 1.16230
C 0.07153 0.42281 0.30957
O 0.01056 -0.71509 0.66843
O 0.15556 0.86245 -0.94931
C -0.03975 -0.06390 -2.04078
H 0.26459 2.17644 3.09926
H 1.17419 0.72165 2.97002
H -0.50879 0.60599 2.92443
H -0.62603 0.19558 -2.92227
H -0.29434 -1.09171 -1.78212
H 0.96855 -0.26359 -2.40350
C 2.54186 -6.95866 2.95028
O 1.76254 -5.86640 2.39705
C 0.73309 -5.48416 3.09574
O 0.33886 -6.01406 4.13718
O 0.26208 -4.42071 2.46433
C -0.92603 -3.78109 2.84389
H 3.53389 -7.10458 2.52289
H 2.02664 -7.91548 3.03486
H 2.80714 -6.87538 4.00422
H -1.78419 -4.32988 2.45597
H -0.89395 -2.80586 2.35809
H -0.98775 -3.69327 3.92859
C -3.35503 -0.06444 2.29653
O -3.09906 -0.72647 3.48051
C -3.85157 -1.83860 3.77193
O -4.57633 -2.39734 2.98972
O -3.49648 -2.34383 4.90595
C -3.68845 -3.67807 5.24107
H -2.65425 0.76654 2.21594
H -4.35953 0.33900 2.42422
H -3.11882 -0.76071 1.49185
H -3.34104 -4.36941 4.47331
H -4.66875 -3.90113 5.66222
H -2.95541 -3.75001 6.04455
C 3.04709 -0.76966 -5.50818
O 1.82290 -1.36459 -4.99335
C 0.88949 -1.87936 -5.79201
O 0.88225 -1.89531 -6.99051
O -0.00437 -2.41357 -5.01992
C -1.17890 -2.98567 -5.55609
H 3.87391 -1.20222 -4.94485
H 3.06737 0.31066 -5.36466
H 3.23372 -0.89257 -6.57502
H -1.65201 -3.70661 -4.88937
H -1.10462 -3.59611 -6.45606
H -1.83356 -2.20101 -5.93534
C -1.82417 5.06968 5.78585
O -1.21631 4.42893 4.69545
C -0.79582 5.25835 3.63418
O -0.91117 6.48743 3.54078
O -0.13956 4.53669 2.77480
C 0.35703 5.08328 1.50670
H -2.24929 6.01301 5.44306
H -1.09058 5.23137 6.57566
H -2.74711 4.57082 6.08150
H -0.15106 4.56842 0.69131
H 1.42412 4.89228 1.39295
H 0.35763 6.17208 1.45550
C -6.40627 1.38094 -3.68637
O -5.14561 1.18386 -4.13875
C -4.34474 2.20261 -3.88674
O -4.62224 3.38558 -3.84673
O -3.13326 1.72936 -4.04656

_Work order_
Next, write out only the lines further up with the word "Charge" in them.

_Solution_
Charge: +1
Charge: 0